Real time tax data: A glimpse into the future of employment and earnings statistics

HMRC has published real time tax information for the first time. ONS Head of Labour Market David Freeman explains the significance of this milestone and writes about how ONS plans to use these data to transform its own labour market statistics.
(These calculated crystals were left in the entry by mistake)
┌──
Structure and computed XRD peak list of Rb2Te2O7 (a cell relaxed with GGA-PBE; copper Kα).
No peak broadening, texture or thermal motion is included.

Main lines, by angle (2θ = 10–90°):
d 6.733, I 32, hkl 0 0 1; d 3.367, I 44, hkl 0 0 2; d 3.307, I 100, hkl 0 2 1; d 2.961, I 84, hkl 2 0 1; d 2.489, I 24, hkl 2 2 0; d 2.002, I 60, hkl 2 2 2; d 1.933, I 25, hkl 0 2 3; d 1.855, I 25, hkl 2 0 3; d 1.598, I 19, hkl 2 4 1; d 1.475, I 17, hkl 4 2 1

Structure:
```
data_Rb2Te2O7
_chemical_formula_sum 'Rb4 Te4 O14'
_symmetry_space_group_name_H-M 'C m m m'
_symmetry_Int_Tables_number 65
_symmetry_space_group_name_Hall '-C 2 2'
_cell_length_a 6.594
_cell_length_b 7.593
_cell_length_c 6.733
_cell_angle_alpha 90.00
_cell_angle_beta 90.00
_cell_angle_gamma 90.00
loop_
_atom_site_label
_atom_site_type_symbol
_atom_site_fract_x
_atom_site_fract_y
_atom_site_fract_z
Rb1 Rb 0.240 0.000 0.000
Te1 Te 0.000 0.278 0.500
O1 O 0.000 0.000 0.500
O2 O 0.000 0.500 0.323
O3 O 0.250 0.250 0.314
```

***

Structure and computed XRD peak list of Rb6Te2O9 (a cell relaxed with GGA-PBE; copper Kα).
No peak broadening, texture or thermal motion is included.

Main lines, by angle (2θ = 10–90°):
d 5.143, I 6, hkl 2 0 0; d 3.232, I 100, hkl 2 2 -3; d 3.077, I 20, hkl 4 0 -2; d 2.344, I 12, hkl 0 0 4; d 2.230, I 15, hkl 4 4 -2; d 1.898, I 7, hkl 0 4 4; d 1.868, I 13, hkl 2 6 -3; d 1.805, I 10, hkl 6 2 -5; d 1.614, I 6, hkl 4 4 -6; d 1.474, I 7, hkl 2 2 -7

Structure:
```
data_Rb6Te2O9
_chemical_formula_sum 'Rb24 Te8 O36'
_symmetry_space_group_name_H-M 'C 1 2/c 1'
_symmetry_Int_Tables_number 15
_cell_length_a 12.309
_cell_length_b 12.950
_cell_length_c 11.203
_cell_angle_alpha 90.00
_cell_angle_beta 123.20
_cell_angle_gamma 90.00
loop_
_symmetry_equiv_pos_as_xyz
'x,y,z'
'-x,-y,-z'
'-x,y,-z+1/2'
'x,-y,z+1/2'
'x+1/2,y+1/2,z'
'-x+1/2,-y+1/2,-z'
'-x+1/2,y+1/2,-z+1/2'
'x+1/2,-y+1/2,z+1/2'
loop_
_atom_site_label
_atom_site_type_symbol
_atom_site_fract_x
_atom_site_fract_y
_atom_site_fract_z
Rb1 Rb 0.097 0.099 0.477
Rb2 Rb 0.148 0.354 0.028
Rb3 Rb 0.213 0.387 0.737
Te1 Te 0.000 0.126 0.750
Te2 Te 0.000 0.353 0.250
O1 O 0.000 0.274 0.750
O2 O 0.050 0.434 0.408
O3 O 0.109 0.129 0.958
O4 O 0.125 0.043 0.744
O5 O 0.137 0.269 0.286
```

***

Structure and computed XRD peak list of Rb6Te2O (a cell relaxed with GGA-PBE; copper Kα).
No peak broadening, texture or thermal motion is included.

Main lines, by angle (2θ = 10–90°):
d 3.460, I 22, hkl 2 0 0; d 3.159, I 22, hkl 0 0 2; d 3.034, I 100, hkl 0 2 1; d 2.333, I 18, hkl 2 0 2; d 1.998, I 21, hkl 2 2 0; d 1.799, I 19, hkl 0 2 3; d 1.688, I 21, hkl 2 2 2; d 1.668, I 16, hkl 4 0 1; d 1.281, I 13, hkl 2 4 1; d 1.111, I 8, hkl 2 4 3

Structure:
```
data_Rb6Te2O
_chemical_formula_sum 'Rb6 Te2 O1'
_symmetry_space_group_name_H-M 'P -3 m 1'
_symmetry_Int_Tables_number 164
_symmetry_space_group_name_Hall '-P 3 2"'
_cell_length_a 7.9901
_cell_length_b 7.9901
_cell_length_c 6.3171
_cell_angle_alpha 90.00
_cell_angle_beta 90.00
_cell_angle_gamma 120.00
loop_
└──
Today sees a small, but significant, step in the transformation of labour market statistics across government. HM Revenue & Customs (HMRC) has used Pay As You Earn (PAYE) information it holds as part of the Real Time Information (RTI) tax system to produce estimates of the number of people employed and importantly, how much they are earning. While these are early, experimental labour market estimates, they give a first indication of how these data compare with headline measures and point towards how tax data could be used in the future production of employment and earnings statistics.
What is RTI?
Since 2014, all employers with a Pay As You Earn (PAYE) tax scheme have been required to report to HMRC every time an employee is paid. The system covers around 2.3 million PAYE schemes and around 45 million employees and pensioners. The large number of records and the detail the system holds means the data can be cut by a number of dimensions, such as gender, age and area of residence to give much more detail about changing employment and incomes.
How do these results compare with Labour Market Statistics?
The RTI system is designed to ensure that employees pay the right amount of tax rather than for the production of labour market statistics. Therefore, as you would expect, there are differences between the RTI aggregates and the labour market statistics we publish. Labour market data are based on international rules, collect information from surveys of businesses and households while RTI figures are based on payments to individuals through the tax system over a specified period. However, ONS is working closely with HMRC to explore reasons for the differences and these are covered as part of the release.
One reason for differences is in the criteria used for including people in the results. For RTI, a person will be included if they have been paid at any point in the relevant quarter. For the employee estimates from the Labour Force Survey people are included if they did an hour’s paid work in the week before they were interviewed for the survey. This means that the number of employees from the RTI statistics is greater than the comparable LFS number. For average earnings, including all employees on PAYE schemes naturally leads to RTI average earnings differing from ONS’s Average Weekly Earnings measure, which is based on a sample of businesses.
Inserted here: materials data:
<<<
Theoretical X-ray powder pattern
Compound: NaMg2
Radiation: Cu Ka
Structure: a DFT-relaxed cell (PBE, Alexandria)
No peak broadening, texture or thermal motion is included.

Most intense lines, 15 to 90 degrees two-theta, in order of rising 2θ:
- 2θ = 16.9°, I = 15.2, hkl 0 1 1
- 2θ = 27.7°, I = 27.2, hkl 0 1 5
- 2θ = 33.0°, I = 45.7, hkl 0 2 0
- 2θ = 33.3°, I = 90.1, hkl 1 1 2
- 2θ = 35.6°, I = 100.0, hkl 0 1 7
- 2θ = 49.3°, I = 28.3, hkl 1 2 5
- 2θ = 59.1°, I = 15.6, hkl 1 3 2
- 2θ = 68.5°, I = 17.0, hkl 2 1 7

Crystal structure
```
data_NaMg2
_space_group_name_H-M_alt 'I m m a'
_space_group_IT_number 74
_space_group_name_Hall '-I 2b 2'
_cell_length_a 3.263
_cell_length_b 5.435
_cell_length_c 19.926
_cell_angle_alpha 90.00
_cell_angle_beta 90.00
_cell_angle_gamma 90.00
loop_
_atom_site_label
_atom_site_type_symbol
_atom_site_fract_x
_atom_site_fract_y
_atom_site_fract_z
Na1 Na 0.000 0.250 0.121
Mg1 Mg 0.000 0.250 0.536
Mg2 Mg 0.000 0.250 0.687
```


Theoretical X-ray powder pattern
Compound: Na3Mg
Radiation: Cu Ka
Structure: a DFT-relaxed cell (PBE, Alexandria)
No peak broadening, texture or thermal motion is included.

Most intense lines, 15 to 90 degrees two-theta, in order of rising 2θ:
- 2θ = 30.6°, I = 100.0, hkl 0 1 2
- 2θ = 30.9°, I = 98.8, hkl 1 1 0
- 2θ = 33.7°, I = 38.8, hkl 0 2 0
- 2θ = 36.6°, I = 60.7, hkl 1 0 2
- 2θ = 50.6°, I = 45.0, hkl 1 2 2
- 2θ = 58.6°, I = 14.1, hkl 1 3 0
- 2θ = 62.0°, I = 21.8, hkl 1 1 4
- 2θ = 62.5°, I = 22.2, hkl 2 1 2

Crystal structure
```
data_Na3Mg
_space_group_name_H-M_alt 'P m m m'
_space_group_IT_number 47
_cell_length_a 3.449
_cell_length_b 5.312
_cell_length_c 7.004
_cell_angle_alpha 90.00
_cell_angle_beta 90.00
_cell_angle_gamma 90.00
loop_
_space_group_symop_operation_xyz
'x,y,z'
'-x,-y,-z'
'-x,-y,z'
'x,y,-z'
'x,-y,-z'
'-x,y,z'
'-x,y,-z'
'x,-y,z'
loop_
_atom_site_label
_atom_site_type_symbol
_atom_site_fract_x
_atom_site_fract_y
_atom_site_fract_z
Na1 Na 0.000 0.000 0.000
Na2 Na 0.500 0.500 0.265
Mg1 Mg 0.000 0.000 0.500
```


Theoretical X-ray powder pattern
Compound: NaMg3
Radiation: Cu Ka
Structure: a DFT-relaxed cell (PBE, Alexandria)
No peak broadening, texture or thermal motion is included.

Most intense lines, 15 to 90 degrees two-theta, in order of rising 2θ:
- 2θ = 32.7°, I = 100.0, hkl 0 1 2
- 2θ = 34.0°, I = 91.9, hkl 1 1 0
- 2θ = 37.3°, I = 35.2, hkl 0 2 0
- 2θ = 39.3°, I = 59.1, hkl 1 0 2
- 2θ = 55.3°, I = 41.4, hkl 1 2 2
- 2θ = 64.4°, I = 12.6, hkl 0 3 2
- 2θ = 66.4°, I = 21.4, hkl 1 1 4
- 2θ = 68.6°, I = 20.5, hkl 2 1 2

Crystal structure
```
data_NaMg3
_space_group_name_H-M_alt 'P m m m'
_space_group_IT_number 47
_cell_length_a 3.156
_cell_length_b 4.819
_cell_length_c 6.662
_cell_angle_alpha 90.00
_cell_angle_beta 90.00
_cell_angle_gamma 90.00
loop_
_space_group_symop_operation_xyz
'x,y,z'
'-x,-y,-z'
'-x,-y,z'
'x,y,-z'
'x,-y,-z'
'-x,y,z'
'-x,y,-z'
'x,-y,z'
loop_
_atom_site_label
_atom_site_type_symbol
_atom_site_fract_x
_atom_site_fract_y
_atom_site_fract_z
>>>
However, despite these differences, the RTI data show similar trends over time to comparable ONS labour market statistics.
So what’s next?
While the figures produced by ONS remain the lead measures for the labour market, the publication of these experimental statistics is a very welcome and important first step. We aim to integrate administrative data, such as RTI, into the production of our labour market statistics over the next couple of years. This will help us to produce faster, better and much more detailed estimates of changes in employment and earnings. This release today gives us a first indication of some of the challenges we’ll face using administrative data to meet existing user needs. It also shows the huge potential of using such a data set in the production of our statistics.
David Freeman is Head of Labour Market for the ONS